• Input:
____________
(1)
Calculated powder X-ray diffraction pattern
Compound: AcInHgSe
Radiation: Cu Kα, 1.54184 Å
Structure: a GGA-PBE-relaxed structure
Kinematic intensities with the Lorentz-polarization factor, no thermal factor.

Largest 8 diffraction maxima, low angle first, 2θ from 10° to 80°:
2θ (°)	Rel. int.
25.87	98
31.20	100
34.70	75
42.89	35
43.79	49
49.89	27
56.30	37
60.04	38

Atomic structure:
Unit cell a=5.170 b=5.170 c=9.238 alpha=90.00 beta=90.00 gamma=90.00
Positions (direct):
1 Ac 0.250 0.250 0.173
2 Ac 0.750 0.750 0.827
3 In 0.250 0.750 0.500
4 In 0.750 0.250 0.500
5 Hg 0.250 0.250 0.675
6 Hg 0.750 0.750 0.325
7 Se 0.250 0.750 0.000
8 Se 0.750 0.250 0.000

=====

(2)
Calculated powder X-ray diffraction pattern
Compound: Ac4Tl2InHg
Radiation: Cu Kα, 1.54184 Å
Structure: a GGA-PBE-relaxed structure
Kinematic intensities with the Lorentz-polarization factor, no thermal factor.

Largest 8 diffraction maxima, low angle first, 2θ from 10° to 80°:
2θ (°)	Rel. int.
18.69	1
21.61	1
30.75	100
44.05	19
49.57	1
54.68	41
64.05	13
72.73	18

Atomic structure:
Unit cell a=10.067 b=10.067 c=10.067 alpha=33.58 beta=33.58 gamma=33.58
Positions (direct):
1 Ac 0.124 0.124 0.124
2 Ac 0.374 0.374 0.374
3 Ac 0.626 0.626 0.626
4 Ac 0.876 0.876 0.876
5 Tl 0.250 0.250 0.250
6 Tl 0.750 0.750 0.750
7 In 0.500 0.500 0.500
8 Hg 0.000 0.000 0.000

=====

(3)
Calculated powder X-ray diffraction pattern
Compound: Ac4TlInHg2
Radiation: Cu Kα, 1.54184 Å
Structure: a GGA-PBE-relaxed structure
Kinematic intensities with the Lorentz-polarization factor, no thermal factor.

Largest 8 diffraction maxima, low angle first, 2θ from 10° to 80°:
2θ (°)	Rel. int.
18.78	1
21.72	1
30.91	100
44.28	19
49.84	1
54.98	41
64.41	13
73.15	18

Atomic structure:
Unit cell a=10.025 b=10.025 c=10.025 alpha=33.54 beta=33.54 gamma=33.54
Positions (direct):
1 Ac 0.125 0.125 0.125
2 Ac 0.375 0.375 0.375
3 Ac 0.625 0.625 0.625
4 Ac 0.875 0.875 0.875
5 Tl 0.500 0.500 0.500
6 In 0.000 0.000 0.000
7 Hg 0.250 0.250 0.250
8 Hg 0.750 0.750 0.750

=====

(4)
Calculated powder X-ray diffraction pattern
Compound: AcTm2In2Hg2
Radiation: Cu Kα, 1.54184 Å
Structure: a GGA-PBE-relaxed structure
Kinematic intensities with the Lorentz-polarization factor, no thermal factor.

Largest 8 diffraction maxima, low angle first, 2θ from 10° to 80°:
2θ (°)	Rel. int.
21.54	12
30.61	100
36.00	94
46.85	20
47.96	29
57.26	15
61.40	28
64.71	17

Atomic structure:
Unit cell a=9.684 b=9.684 c=9.684 alpha=29.86 beta=29.86 gamma=29.86
Positions (direct):
1 Ac 0.000 0.000 0.000
2 Tm 0.135 0.135 0.135
3 Tm 0.865 0.865 0.865
4 In 0.259 0.259 0.259
5 In 0.741 0.741 0.741
6 Hg 0.438 0.438 0.438
7 Hg 0.562 0.562 0.562

=====

(5)
Calculated powder X-ray diffraction pattern
Compound: Ac3ZnIn2Hg6
Radiation: Cu Kα, 1.54184 Å
Structure: a GGA-PBE-relaxed structure
Kinematic intensities with the Lorentz-polarization factor, no thermal factor.

Largest 8 diffraction maxima, low angle first, 2θ from 10° to 80°:
2θ (°)	Rel. int.
28.85	29
32.77	100
33.30	44
36.92	53
51.82	18
55.67	30
63.91	18
66.14	18

Atomic structure:
Unit cell a=6.604 b=6.604 c=9.284 alpha=90.00 beta=90.00 gamma=120.00
Positions (direct):
1 Ac 0.000 0.000 0.000
2 Ac 0.333 0.667 0.623
3 Ac 0.667 0.333 0.377
4 Zn 0.000 0.000 0.500
5 In 0.333 0.667 0.007
6 In 0.667 0.333 0.993
7 Hg 0.174 0.349 0.287
8 Hg 0.174 0.826 0.287
9 Hg 0.349 0.174 0.713
10 Hg 0.651 0.826 0.287
11 Hg 0.826 0.174 0.713
12 Hg 0.826 0.651 0.713

=====

(6)
Calculated powder X-ray diffraction pattern
Compound: Ac8Hg3Ir
Radiation: Cu Kα, 1.54184 Å
Structure: a GGA-PBE-relaxed structure
Kinematic intensities with the Lorentz-polarization factor, no thermal factor.

Largest 8 diffraction maxima, low angle first, 2θ from 10° to 80°:
2θ (°)	Rel. int.
19.77	22
22.87	17
32.56	100
38.38	13
46.75	12
58.10	38
68.21	11
77.70	11

Atomic structure:
Unit cell a=9.533 b=9.533 c=9.533 alpha=131.88 beta=131.88 gamma=70.41
Positions (direct):
1 Ac 0.120 0.120 0.479
2 Ac 0.120 0.641 0.000
3 Ac 0.359 0.359 0.479
____________

• To do:
It remains to return everything above unchanged.

• Completed:
(1)
Calculated powder X-ray diffraction pattern
Compound: AcInHgSe
Radiation: Cu Kα, 1.54184 Å
Structure: a GGA-PBE-relaxed structure
Kinematic intensities with the Lorentz-polarization factor, no thermal factor.

Largest 8 diffraction maxima, low angle first, 2θ from 10° to 80°:
2θ (°)	Rel. int.
25.87	98
31.20	100
34.70	75
42.89	35
43.79	49
49.89	27
56.30	37
60.04	38

Atomic structure:
Unit cell a=5.170 b=5.170 c=9.238 alpha=90.00 beta=90.00 gamma=90.00
Positions (direct):
1 Ac 0.250 0.250 0.173
2 Ac 0.750 0.750 0.827
3 In 0.250 0.750 0.500
4 In 0.750 0.250 0.500
5 Hg 0.250 0.250 0.675
6 Hg 0.750 0.750 0.325
7 Se 0.250 0.750 0.000
8 Se 0.750 0.250 0.000

=====

(2)
Calculated powder X-ray diffraction pattern
Compound: Ac4Tl2InHg
Radiation: Cu Kα, 1.54184 Å
Structure: a GGA-PBE-relaxed structure
Kinematic intensities with the Lorentz-polarization factor, no thermal factor.

Largest 8 diffraction maxima, low angle first, 2θ from 10° to 80°:
2θ (°)	Rel. int.
18.69	1
21.61	1
30.75	100
44.05	19
49.57	1
54.68	41
64.05	13
72.73	18

Atomic structure:
Unit cell a=10.067 b=10.067 c=10.067 alpha=33.58 beta=33.58 gamma=33.58
Positions (direct):
1 Ac 0.124 0.124 0.124
2 Ac 0.374 0.374 0.374
3 Ac 0.626 0.626 0.626
4 Ac 0.876 0.876 0.876
5 Tl 0.250 0.250 0.250
6 Tl 0.750 0.750 0.750
7 In 0.500 0.500 0.500
8 Hg 0.000 0.000 0.000

=====

(3)
Calculated powder X-ray diffraction pattern
Compound: Ac4TlInHg2
Radiation: Cu Kα, 1.54184 Å
Structure: a GGA-PBE-relaxed structure
Kinematic intensities with the Lorentz-polarization factor, no thermal factor.

Largest 8 diffraction maxima, low angle first, 2θ from 10° to 80°:
2θ (°)	Rel. int.
18.78	1
21.72	1
30.91	100
44.28	19
49.84	1
54.98	41
64.41	13
73.15	18

Atomic structure:
Unit cell a=10.025 b=10.025 c=10.025 alpha=33.54 beta=33.54 gamma=33.54
Positions (direct):
1 Ac 0.125 0.125 0.125
2 Ac 0.375 0.375 0.375
3 Ac 0.625 0.625 0.625
4 Ac 0.875 0.875 0.875
5 Tl 0.500 0.500 0.500
6 In 0.000 0.000 0.000
7 Hg 0.250 0.250 0.250
8 Hg 0.750 0.750 0.750

=====

(4)
Calculated powder X-ray diffraction pattern
Compound: AcTm2In2Hg2
Radiation: Cu Kα, 1.54184 Å
Structure: a GGA-PBE-relaxed structure
Kinematic intensities with the Lorentz-polarization factor, no thermal factor.

Largest 8 diffraction maxima, low angle first, 2θ from 10° to 80°:
2θ (°)	Rel. int.
21.54	12
30.61	100
36.00	94
46.85	20
47.96	29
57.26	15
61.40	28
64.71	17

Atomic structure:
Unit cell a=9.684 b=9.684 c=9.684 alpha=29.86 beta=29.86 gamma=29.86
Positions (direct):
1 Ac 0.000 0.000 0.000
2 Tm 0.135 0.135 0.135
3 Tm 0.865 0.865 0.865
4 In 0.259 0.259 0.259
5 In 0.741 0.741 0.741
6 Hg 0.438 0.438 0.438
7 Hg 0.562 0.562 0.562

=====

(5)
Calculated powder X-ray diffraction pattern
Compound: Ac3ZnIn2Hg6
Radiation: Cu Kα, 1.54184 Å
Structure: a GGA-PBE-relaxed structure
Kinematic intensities with the Lorentz-polarization factor, no thermal factor.

Largest 8 diffraction maxima, low angle first, 2θ from 10° to 80°:
2θ (°)	Rel. int.
28.85	29
32.77	100
33.30	44
36.92	53
51.82	18
55.67	30
63.91	18
66.14	18

Atomic structure:
Unit cell a=6.604 b=6.604 c=9.284 alpha=90.00 beta=90.00 gamma=120.00
Positions (direct):
1 Ac 0.000 0.000 0.000
2 Ac 0.333 0.667 0.623
3 Ac 0.667 0.333 0.377
4 Zn 0.000 0.000 0.500
5 In 0.333 0.667 0.007
6 In 0.667 0.333 0.993
7 Hg 0.174 0.349 0.287
8 Hg 0.174 0.826 0.287
9 Hg 0.349 0.174 0.713
10 Hg 0.651 0.826 0.287
11 Hg 0.826 0.174 0.713
12 Hg 0.826 0.651 0.713

=====

(6)
Calculated powder X-ray diffraction pattern
Compound: Ac8Hg3Ir
Radiation: Cu Kα, 1.54184 Å
Structure: a GGA-PBE-relaxed structure
Kinematic intensities with the Lorentz-polarization factor, no thermal factor.

Largest 8 diffraction maxima, low angle first, 2θ from 10° to 80°:
2θ (°)	Rel. int.
19.77	22
22.87	17
32.56	100
38.38	13
46.75	12
58.10	38
68.21	11
77.70	11

Atomic structure:
Unit cell a=9.533 b=9.533 c=9.533 alpha=131.88 beta=131.88 gamma=70.41
Positions (direct):
1 Ac 0.120 0.120 0.479
2 Ac 0.120 0.641 0.000
3 Ac 0.359 0.359 0.479